
Churning of pointless tech projects

Almost everything made in alt-radical tech is obviously pointless and only feeds #fahernista churn.
Why #indymediaback is not a pointless radical tech project.
#nothingnew mediates the churning of pointless tech projects by building things that already work.
In the #fedivers we use this tradition to replace existing #dotcons projects as new #openweb projects
This replicating the #dotcons with #openweb versions has its limits. All code is “ideology” so bringing in the #deathcult to the #openweb by direct copying has its own issues to work through.
We mediate this problem by recreating a widely used radical tech project #indymedia with good existing workflow and embedded in wide radical social networks/agreements.
The value balance in #indymediaback is not in the tech though that is needed. It’s in the #nothingnew social side of the project, without this continuity we have a pointless tech project.

Food for thought.

The #geekproblem is not actually interested in the #openweb as a human value network. Instead, they often feed off the current mess in different unhealthy ways. Feeding off the dying #openweb is bowing down to the #deathcult

Looked at it this way the need for change becomes more obvuse and active carrot and stick work important.

The #OMN is a shovel to compost this inhuman mess.


The #OMN is built from the experience of 30 years of working at the coal face of grassroots media and tech.

Just about all tech and political projects are pointless “A river that needs crossing political and tech – On the political side, there is arrogance and ignorance, on the geek side there is naivety and over complexity”

A solution to this churning is “nothing new” as most of the issues we face have already been solved or at least mediated. #nothingnew and #4opens is a way of stepping away from the current tech mess. Politics is a bit more complex.

What is not pointless is an interesting challenge for tech and politics. To start this conversation you HAVE to use the to remove 99.9% of the #dotcons #NGO and #fashernista fluff.

The is NO conversation before you do this. When this is done you need to look at the #geekproblem which is both a curse and a delight.

The #OMN is built from the experience of 30 years of working at the coal face of grassroots media and tech.


Human tech – OMN

To build the framework of an #OMN site there are – 5 functions

The network is made of pipes and holding tanks with different end connectors. The idea is that every part, in abstract, is understandable by a normaliseish human being.

* link/subscribe to a flow – plumb a pipe in, on, the end/beginning of the pipe can be other functions

* trust/moderate flow – through flow or to the holding tank then though a sieve to shift the flow to different pipes.

* rollback – empty, remove that content to a point in the flow or remove objects from the flow.

* edit matadata – add to the trailing tail of the data object, this will change how data is sieved and is the main function in aggregation news.

* publish content – add an object to the flow (you can maybe edit this object or not)

The is then the storage tank which is a database.

That’s it the rest is UX and UI think of it as macaron for news publishing.

┌──
Material: K2NaMgHg2
Method: DFT, GGA-PBE
State: optimized geometry

Calculated values
Symmetry = Ibam
Volume = 424.2 Å³/cell
N(E_F) = 7.4 states/eV/cell
Calculated formation energy = -0.18 eV per atom

a b c (Å): 7.0269 7.1438 9.8248
angles (deg): 111.32 110.95 90.00
With the nearest neighbours (Å) after each atom.
Sites, in units of the cell vectors:
Hg 0.6152 0.3955 0.7910  2 Mg 2.95, 2 Na 3.19
Hg 0.8242 0.1045 0.2090  2 Mg 2.95, 2 Na 3.19
Hg 0.3848 0.6045 0.2090  2 Mg 2.95, 2 Na 3.19
Hg 0.1758 0.8955 0.7910  2 Mg 2.95, 2 Na 3.19
Na 0.0000 0.7500 0.0000  4 Hg 3.19, 2 Mg 3.51, 2 Na 3.57
Na 0.0000 0.2500 0.0000  4 Hg 3.19, 2 Mg 3.51, 2 Na 3.57
K 0.9424 0.6769 0.3538  5 Hg 3.62-3.82, 2 Na 3.85, 2 Mg 3.95
K 0.4114 0.1769 0.3538  5 Hg 3.62-3.82, 2 Na 3.85, 2 Mg 3.95
K 0.5886 0.8231 0.6462  5 Hg 3.62-3.82, 2 Na 3.85, 2 Mg 3.95
K 0.0576 0.3231 0.6462  5 Hg 3.62-3.82, 2 Na 3.85, 2 Mg 3.95
Mg 0.5000 0.7500 0.0000  4 Hg 2.95
Mg 0.5000 0.2500 0.0000  4 Hg 2.95
└──

TAKENOTE: the is nothing original in this, its how our plumbing, our electrical grids and even the neurons in our brains work and fits into the #nothingnew that is a core of this project.